Input >
........
Entry 1:
Starting from the PBE geometry in Alexandria, the PXRD pattern of K2Ge was computed for Cu Kα.
No peak broadening, texture or thermal motion is included.

Atomic structure:
Cell lengths 5.4095, 4.1776, 12.1980 Å; angles 90.00, 102.88, 90.00 degrees
Atoms (fractional coordinates):
K 0.0717 0.0000 0.1425
K 0.3160 0.0029 0.6324
K 0.6840 0.5029 0.3676
K 0.9283 0.5000 0.8575
Ge 0.4683 0.9992 0.9387
Ge 0.5317 0.4992 0.0613

Main lines, low angle first (2θ = 10–90°):
16.8 deg, I = 64; 24.9 deg, I = 100; 27.2 deg, I = 71; 29.3 deg, I = 56; 31.1 deg, I = 41; 33.0 deg, I = 47; 33.1 deg, I = 53; 37.1 deg, I = 31; 38.0 deg, I = 75; 50.6 deg, I = 50

Entry 2:
Starting from the PBE geometry in Alexandria, the PXRD pattern of LaSb2Rh was computed for Cu Kα.
No peak broadening, texture or thermal motion is included.

Atomic structure:
Cell lengths 4.4682, 4.4682, 20.3383 Å; angles 90.00, 90.00, 90.00 degrees
Atoms (fractional coordinates):
La 0.0000 0.0000 0.1239
La 0.0000 0.0000 0.8761
La 0.5000 0.5000 0.3761
La 0.5000 0.5000 0.6239
Sb 0.0000 0.0000 0.3214
Sb 0.0000 0.0000 0.6786
Sb 0.0000 0.5000 0.0000
Sb 0.0000 0.5000 0.5000
Sb 0.5000 0.0000 0.0000
Sb 0.5000 0.0000 0.5000
Sb 0.5000 0.5000 0.1786
Sb 0.5000 0.5000 0.8214
Rh 0.0000 0.5000 0.2500
Rh 0.0000 0.5000 0.7500
Rh 0.5000 0.0000 0.2500
Rh 0.5000 0.0000 0.7500

Main lines, low angle first (2θ = 10–90°):
29.7 deg, I = 41; 33.4 deg, I = 100; 35.3 deg, I = 9; 40.4 deg, I = 45; 45.0 deg, I = 11; 45.8 deg, I = 11; 50.9 deg, I = 15; 54.7 deg, I = 10; 58.4 deg, I = 15; 69.0 deg, I = 24

Entry 3:
Starting from the PBE geometry in Alexandria, the PXRD pattern of NbBiO4 was computed for Cu Kα.
No peak broadening, texture or thermal motion is included.

Atomic structure:
Cell lengths 5.5749, 7.7701, 8.0409 Å; angles 101.18, 90.14, 92.69 degrees
Atoms (fractional coordinates):
Nb 0.2206 0.3457 0.1760
Nb 0.2477 0.3274 0.6763
Nb 0.7523 0.6726 0.3237
Nb 0.7794 0.6543 0.8240
Bi 0.2353 0.8786 0.1269
Bi 0.2874 0.8336 0.6278
Bi 0.7126 0.1664 0.3722
Bi 0.7647 0.1214 0.8731
O 0.0040 0.8945 0.8216
O 0.0406 0.8229 0.3640
O 0.0840 0.5565 0.7195
O 0.1435 0.3235 0.9459
O 0.3155 0.3293 0.4492
O 0.4346 0.5474 0.2110
O 0.4439 0.1087 0.6803
O 0.4640 0.1589 0.1406
O 0.5360 0.8411 0.8594
O 0.5561 0.8913 0.3197
O 0.5654 0.4526 0.7890
O 0.6845 0.6707 0.5508
O 0.8565 0.6765 0.0541
O 0.9160 0.4435 0.2805
O 0.9594 0.1771 0.6360
O 0.9960 0.1055 0.1784

Main lines, low angle first (2θ = 10–90°):
11.6 deg, I = 46; 27.6 deg, I = 94; 27.7 deg, I = 93; 27.9 deg, I = 100; 29.0 deg, I = 89; 29.3 deg, I = 49; 32.1 deg, I = 55; 35.8 deg, I = 34; 47.8 deg, I = 35; 49.9 deg, I = 35

Entry 4:
Starting from the PBE geometry in Alexandria, the PXRD pattern of SrMnTl2S4 was computed for Cu Kα.
No peak broadening, texture or thermal motion is included.

Atomic structure:
Cell lengths 8.3959, 9.1758, 6.0380 Å; angles 90.00, 90.00, 90.00 degrees
Atoms (fractional coordinates):
Sr 0.0000 0.0899 0.0000
Sr 0.5000 0.9101 0.5000
Mn 0.0000 0.8101 0.4344
Mn 0.5000 0.1899 0.9344
Tl 0.2018 0.3561 0.5132
Tl 0.2982 0.6439 0.0132
Tl 0.7018 0.6439 0.0132
Tl 0.7982 0.3561 0.5132
S 0.0000 0.0496 0.5026
S 0.0000 0.7767 0.0759
S 0.2286 0.7038 0.5192
S 0.2714 0.2962 0.0192
S 0.5000 0.2233 0.5759
S 0.5000 0.9504 0.0026
S 0.7286 0.2962 0.0192
S 0.7714 0.7038 0.5192

Main lines, low angle first (2θ = 10–90°):
17.6 deg, I = 43; 23.3 deg, I = 76; 24.4 deg, I = 100; 27.6 deg, I = 49; 29.6 deg, I = 68; 35.3 deg, I = 29; 36.3 deg, I = 31; 38.0 deg, I = 39; 47.5 deg, I = 28; 56.9 deg, I = 23

Entry 5:
Starting from the PBE geometry in Alexandria, the PXRD pattern of LiPrIn4Ir2 was computed for Cu Kα.
No peak broadening, texture or thermal motion is included.

Atomic structure:
Cell lengths 9.4296, 9.4296, 9.4296 Å; angles 28.25, 28.25, 28.25 degrees
Atoms (fractional coordinates):
Li 0.0000 0.0000 0.0000
Pr 0.5000 0.5000 0.5000
In 0.1013 0.1013 0.1013
In 0.3684 0.3684 0.3684
In 0.6316 0.6316 0.6316
In 0.8987 0.8987 0.8987
Ir 0.2640 0.2640 0.2640
........

Brief >
Next, restate every line earlier on that contains the word "Mn".

Response >
Mn 0.0000 0.8101 0.4344
Mn 0.5000 0.1899 0.9344